## Work order
Could you give back every line further down that contains the word "wB97M-V"?

## Given
........
<i>
This record from the Open Molecules 2025 dataset describes C44H48AsClF6N4O5P2Se2Ta as an isolated structure. The level of theory is wB97M-V/def2-TZVPD.

## Properties
Kohn-Sham gap (alpha / beta) = 0.20484 / 0.15686 hartree
<S²> = 0.76
LUMO (alpha / beta) = -6.82 / -8.13 eV

Structure (ORCA input):
```
! wB97M-V def2-TZVPD RIJCOSX def2/J DEFGRID3
* xyz 2 2
Ta -0.486 2.282 0.398
O -2.529 4.656 -2.263
C -2.207 4.093 -1.267
O -1.340 3.050 -1.235
C -2.693 4.390 0.121
C -3.355 5.512 0.576
C -3.591 5.616 1.947
C -3.207 4.592 2.811
C -2.596 3.494 2.247
N -2.328 3.419 0.950
C -2.050 2.294 2.961
O -2.297 1.970 4.080
O -1.243 1.603 2.131
H -3.642 6.290 -0.118
H -4.063 6.506 2.341
H -3.370 4.635 3.879
Se 1.094 2.834 -2.889
P 0.037 2.031 -4.614
Se 0.967 1.065 -1.384
C 0.747 0.437 -5.063
C 2.117 0.303 -5.297
C 2.615 -0.914 -5.721
C 1.756 -1.990 -5.917
C 0.397 -1.856 -5.687
C -0.115 -0.640 -5.253
C 0.302 3.286 -5.865
C 1.511 3.972 -6.020
C 1.628 4.934 -7.008
C 0.550 5.213 -7.840
C -0.649 4.532 -7.691
C -0.780 3.571 -6.701
H 2.788 1.142 -5.158
H 3.675 -1.025 -5.907
H 2.153 -2.936 -6.260
H -0.265 -2.694 -5.855
H -1.180 -0.531 -5.082
H 2.365 3.757 -5.390
H 2.564 5.459 -7.136
H 0.648 5.968 -8.608
H -1.485 4.752 -8.340
H -1.722 3.050 -6.583
F 0.116 3.796 2.109
P 1.256 4.770 1.266
F 0.565 6.056 1.805
F 2.219 5.489 0.281
F 0.083 4.622 0.058
F 1.696 3.260 0.651
F 2.269 4.617 2.433
C 3.661 -4.709 1.318
C 2.705 -4.519 2.507
C 3.575 -4.478 3.772
C 1.789 -5.747 2.574
C 1.847 -3.219 2.326
O 1.449 -3.085 0.941
C 0.522 -3.176 3.110
C 0.474 -3.205 4.645
C 0.743 -1.850 5.255
C 1.912 -1.559 5.948
C 2.151 -0.287 6.450
C 1.198 0.699 6.263
Cl 1.498 2.308 6.852
C 0.006 0.429 5.611
C -0.210 -0.843 5.112
C 2.737 -2.002 2.587
N 2.069 -0.725 2.346
C 1.420 -0.292 1.283
N 0.992 0.954 1.501
C 1.471 1.234 2.760
N 2.130 0.245 3.281
H 4.245 -5.614 1.486
H 4.369 -3.886 1.212
H 3.142 -4.825 0.367
H 4.088 -5.435 3.872
H 3.004 -4.324 4.687
H 4.347 -3.711 3.715
H 2.398 -6.651 2.582
H 1.124 -5.824 1.708
H 1.171 -5.758 3.471
H 1.095 -3.934 0.652
H -0.082 -3.995 2.713
H 0.015 -2.258 2.795
H 1.137 -3.958 5.068
H -0.536 -3.514 4.923
H 2.656 -2.332 6.107
H 3.065 -0.063 6.980
H -0.741 1.202 5.499
H -1.145 -1.055 4.604
H 3.628 -2.047 1.963
H 3.034 -1.947 3.630
H 1.284 -0.904 0.413
H 1.316 2.162 3.280
C -3.766 0.282 0.844
As -2.189 0.341 -0.258
C -2.903 0.533 -2.033
C -1.496 -1.489 -0.137
C -2.167 -2.404 -1.119
C -3.333 -3.082 -0.774
C -3.967 -3.904 -1.696
C -3.437 -4.058 -2.968
C -2.268 -3.393 -3.313
C -1.636 -2.569 -2.395
H -4.382 -0.537 0.473
H -4.321 1.215 0.753
H -3.504 0.107 1.885
H -3.608 -0.280 -2.204
H -2.100 0.485 -2.767
H -3.404 1.495 -2.110
H -1.676 -1.796 0.895
H -0.424 -1.466 -0.298
H -3.742 -2.985 0.225
H -4.869 -4.431 -1.416
H -3.924 -4.707 -3.683
H -1.844 -3.532 -4.298
H -0.716 -2.060 -2.665
*
```



<ii>
This record from the Open Molecules 2025 dataset describes C44H48AsClF6N4O5P2Se2Ta as an isolated structure. The level of theory is wB97M-V/def2-TZVPD.

## Properties
Kohn-Sham gap (alpha / beta) = 0.25306 / 0.13665 hartree
<S²> = 0.77
LUMO (alpha / beta) = -5.75 / -8.92 eV

Structure (ORCA input):
```
! wB97M-V def2-TZVPD RIJCOSX def2/J DEFGRID3
* xyz 2 2
Ta -0.552 -1.302 -0.622
O 3.380 -2.318 -0.223
C 2.212 -2.399 -0.496
O 1.243 -1.763 0.150
C 1.665 -3.161 -1.667
C 2.345 -3.937 -2.583
C 1.624 -4.460 -3.656
C 0.261 -4.208 -3.781
C -0.336 -3.431 -2.809
N 0.372 -2.917 -1.819
C -1.782 -3.033 -2.703
O -2.644 -3.347 -3.459
O -1.953 -2.257 -1.606
H 3.401 -4.131 -2.455
H 2.125 -5.068 -4.396
H -0.329 -4.601 -4.597
Se -0.812 -4.074 0.521
P -2.246 -3.117 1.776
Se -1.451 -1.075 1.826
C -2.384 -3.775 3.429
C -2.741 -5.119 3.556
C -2.897 -5.667 4.816
C -2.704 -4.880 5.946
C -2.352 -3.546 5.819
C -2.188 -2.989 4.558
C -3.898 -3.084 1.070
C -4.216 -3.835 -0.056
C -5.510 -3.809 -0.561
C -6.481 -3.039 0.059
C -6.168 -2.296 1.194
C -4.882 -2.320 1.703
H -2.896 -5.736 2.678
H -3.170 -6.708 4.920
H -2.830 -5.313 6.928
H -2.201 -2.938 6.700
H -1.901 -1.948 4.470
........

## Done
This record from the Open Molecules 2025 dataset describes C44H48AsClF6N4O5P2Se2Ta as an isolated structure. The level of theory is wB97M-V/def2-TZVPD.
! wB97M-V def2-TZVPD RIJCOSX def2/J DEFGRID3
This record from the Open Molecules 2025 dataset describes C44H48AsClF6N4O5P2Se2Ta as an isolated structure. The level of theory is wB97M-V/def2-TZVPD.
! wB97M-V def2-TZVPD RIJCOSX def2/J DEFGRID3